# Material
+++
Density functional theory data (PBE-GGA) for a relaxed structure of Ga2AgHg.

a = 3.212 Å, b = 3.157 Å, c = 9.879 Å
α = 76.40°, β = 90.00°, γ = 120.58°
Positions (direct):
1 Ga 0.772 0.545 0.279
2 Ga 0.228 0.455 0.721
3 Ag 0.000 0.000 0.500
4 Hg 0.000 0.000 0.000

Summary:
- Uncorrected energy: -2.2491 eV/atom
- Formation enthalpy at 0 K: 0.053 eV per atom

* * * * *

Model a:
# BaSr6Ca12

BaSr6Ca12 after structural relaxation (PBE-GGA, the Alexandria database).

Lattice parameters (Å, degrees): 9.7503 9.7503 9.7503 90.69 90.69 90.69
With the nearest neighbours (Å) after each atom.
Positions (direct):
Ba (0.0000, 0.0000, 0.0000)  6 Sr 3.94, 6 Ca 3.96
Sr (0.1158, 0.2746, 0.7305)  8 Ca 3.83-4.19, 1 Ba 3.94, 2 Sr 4.11
Sr (0.2695, 0.8842, 0.7254)  8 Ca 3.83-4.19, 1 Ba 3.94, 2 Sr 4.11
Sr (0.2746, 0.7305, 0.1158)  8 Ca 3.83-4.19, 1 Ba 3.94, 2 Sr 4.11
Sr (0.7254, 0.2695, 0.8842)  8 Ca 3.83-4.19, 1 Ba 3.94, 2 Sr 4.11
Sr (0.7305, 0.1158, 0.2746)  8 Ca 3.83-4.19, 1 Ba 3.94, 2 Sr 4.11
Sr (0.8842, 0.7254, 0.2695)  8 Ca 3.83-4.19, 1 Ba 3.94, 2 Sr 4.11
Ca (0.0460, 0.3748, 0.1562)  4 Ca 3.84-4.03, 4 Sr 3.93-4.19, 1 Ba 3.96
Ca (0.1562, 0.0460, 0.3748)  4 Ca 3.84-4.03, 4 Sr 3.93-4.19, 1 Ba 3.96
Ca (0.2064, 0.5541, 0.4730)  4 Sr 3.83-4.08, 4 Ca 3.84-4.19
Ca (0.3748, 0.1562, 0.0460)  4 Ca 3.84-4.03, 4 Sr 3.93-4.19, 1 Ba 3.96
Ca (0.4459, 0.5270, 0.7936)  4 Sr 3.83-4.08, 4 Ca 3.84-4.19
Ca (0.4730, 0.2064, 0.5541)  4 Sr 3.83-4.08, 4 Ca 3.84-4.19
Ca (0.5270, 0.7936, 0.4459)  4 Sr 3.83-4.08, 4 Ca 3.84-4.19
Ca (0.5541, 0.4730, 0.2064)  4 Sr 3.83-4.08, 4 Ca 3.84-4.19
Ca (0.6252, 0.8438, 0.9540)  4 Ca 3.84-4.03, 4 Sr 3.93-4.19, 1 Ba 3.96
Ca (0.7936, 0.4459, 0.5270)  4 Sr 3.83-4.08, 4 Ca 3.84-4.19
Ca (0.8438, 0.9540, 0.6252)  4 Ca 3.84-4.03, 4 Sr 3.93-4.19, 1 Ba 3.96
Ca (0.9540, 0.6252, 0.8438)  4 Ca 3.84-4.03, 4 Sr 3.93-4.19, 1 Ba 3.96

---

Model b:
# BaSr6Ca12

BaSr6Ca12 after structural relaxation (PBE-GGA, the Alexandria database).

Lattice parameters (Å, degrees): 9.9549 9.9549 9.9549 99.94 99.94 99.94
With the nearest neighbours (Å) after each atom.
Positions (direct):
Ba (0.0000, 0.0000, 0.0000)  6 Sr 3.93, 6 Ca 4.22
Sr (0.1066, 0.1066, 0.6651)  3 Sr 3.67-4.05, 2 Ca 3.82, 1 Ba 3.93
Sr (0.1066, 0.6651, 0.1066)  3 Sr 3.67-4.05, 2 Ca 3.82, 1 Ba 3.93
Sr (0.3349, 0.8934, 0.8934)  3 Sr 3.67-4.05, 2 Ca 3.82, 1 Ba 3.93
Sr (0.6651, 0.1066, 0.1066)  3 Sr 3.67-4.05, 2 Ca 3.82, 1 Ba 3.93
Sr (0.8934, 0.3349, 0.8934)  3 Sr 3.67-4.05, 2 Ca 3.82, 1 Ba 3.93
Sr (0.8934, 0.8934, 0.3349)  3 Sr 3.67-4.05, 2 Ca 3.82, 1 Ba 3.93
Ca (0.0739, 0.3399, 0.3399)  6 Ca 3.85-4.10, 1 Ba 4.22, 2 Sr 4.30
Ca (0.2464, 0.5000, 0.7536)  4 Sr 3.82-4.18, 6 Ca 3.85-4.10
Ca (0.2464, 0.7536, 0.5000)  4 Sr 3.82-4.18, 6 Ca 3.85-4.10
Ca (0.3399, 0.0739, 0.3399)  6 Ca 3.85-4.10, 1 Ba 4.22, 2 Sr 4.30
Ca (0.3399, 0.3399, 0.0739)  6 Ca 3.85-4.10, 1 Ba 4.22, 2 Sr 4.30
Ca (0.5000, 0.2464, 0.7536)  4 Sr 3.82-4.18, 6 Ca 3.85-4.10
Ca (0.5000, 0.7536, 0.2464)  4 Sr 3.82-4.18, 6 Ca 3.85-4.10
Ca (0.6601, 0.6601, 0.9261)  6 Ca 3.85-4.10, 1 Ba 4.22, 2 Sr 4.30
Ca (0.6601, 0.9261, 0.6601)  6 Ca 3.85-4.10, 1 Ba 4.22, 2 Sr 4.30
Ca (0.7536, 0.2464, 0.5000)  4 Sr 3.82-4.18, 6 Ca 3.85-4.10
Ca (0.7536, 0.5000, 0.2464)  4 Sr 3.82-4.18, 6 Ca 3.85-4.10
Ca (0.9261, 0.6601, 0.6601)  6 Ca 3.85-4.10, 1 Ba 4.22, 2 Sr 4.30

---

We find model a to be the most stable, with the next structure 21 meV per atom higher.

---

Model a:
# BaSrCa4

BaSrCa4 after structural relaxation (PBE-GGA, the Alexandria database).

Lattice parameters (Å, degrees): 3.9162 6.4503 11.1029 89.82 89.49 89.73
With the nearest neighbours (Å) after each atom.
Positions (direct):
Ba (0.0000, 0.0000, 0.0000)  2 Ba 3.92, 6 Ca 3.98
Sr (0.0000, 0.5000, 0.5000)  2 Sr 3.92, 6 Ca 3.93-3.94
Ca (0.3428, 0.0002, 0.3363)  5 Ca 3.85-3.92, 2 Sr 3.93, 1 Ba 3.98
Ca (0.3569, 0.5004, 0.8303)  5 Ca 3.89-3.94, 1 Sr 3.94, 2 Ba 3.98
Ca (0.6431, 0.4996, 0.1697)  5 Ca 3.89-3.94, 1 Sr 3.94, 2 Ba 3.98
Ca (0.6572, 0.9998, 0.6637)  5 Ca 3.85-3.92, 2 Sr 3.93, 1 Ba 3.98

---
+++
# Request
Now return the notes earlier on from the first line to the one with "(0.8934, 0.3349," word for word.
# Completed
Density functional theory data (PBE-GGA) for a relaxed structure of Ga2AgHg.

a = 3.212 Å, b = 3.157 Å, c = 9.879 Å
α = 76.40°, β = 90.00°, γ = 120.58°
Positions (direct):
1 Ga 0.772 0.545 0.279
2 Ga 0.228 0.455 0.721
3 Ag 0.000 0.000 0.500
4 Hg 0.000 0.000 0.000

Summary:
- Uncorrected energy: -2.2491 eV/atom
- Formation enthalpy at 0 K: 0.053 eV per atom

* * * * *

Model a:
# BaSr6Ca12

BaSr6Ca12 after structural relaxation (PBE-GGA, the Alexandria database).

Lattice parameters (Å, degrees): 9.7503 9.7503 9.7503 90.69 90.69 90.69
With the nearest neighbours (Å) after each atom.
Positions (direct):
Ba (0.0000, 0.0000, 0.0000)  6 Sr 3.94, 6 Ca 3.96
Sr (0.1158, 0.2746, 0.7305)  8 Ca 3.83-4.19, 1 Ba 3.94, 2 Sr 4.11
Sr (0.2695, 0.8842, 0.7254)  8 Ca 3.83-4.19, 1 Ba 3.94, 2 Sr 4.11
Sr (0.2746, 0.7305, 0.1158)  8 Ca 3.83-4.19, 1 Ba 3.94, 2 Sr 4.11
Sr (0.7254, 0.2695, 0.8842)  8 Ca 3.83-4.19, 1 Ba 3.94, 2 Sr 4.11
Sr (0.7305, 0.1158, 0.2746)  8 Ca 3.83-4.19, 1 Ba 3.94, 2 Sr 4.11
Sr (0.8842, 0.7254, 0.2695)  8 Ca 3.83-4.19, 1 Ba 3.94, 2 Sr 4.11
Ca (0.0460, 0.3748, 0.1562)  4 Ca 3.84-4.03, 4 Sr 3.93-4.19, 1 Ba 3.96
Ca (0.1562, 0.0460, 0.3748)  4 Ca 3.84-4.03, 4 Sr 3.93-4.19, 1 Ba 3.96
Ca (0.2064, 0.5541, 0.4730)  4 Sr 3.83-4.08, 4 Ca 3.84-4.19
Ca (0.3748, 0.1562, 0.0460)  4 Ca 3.84-4.03, 4 Sr 3.93-4.19, 1 Ba 3.96
Ca (0.4459, 0.5270, 0.7936)  4 Sr 3.83-4.08, 4 Ca 3.84-4.19
Ca (0.4730, 0.2064, 0.5541)  4 Sr 3.83-4.08, 4 Ca 3.84-4.19
Ca (0.5270, 0.7936, 0.4459)  4 Sr 3.83-4.08, 4 Ca 3.84-4.19
Ca (0.5541, 0.4730, 0.2064)  4 Sr 3.83-4.08, 4 Ca 3.84-4.19
Ca (0.6252, 0.8438, 0.9540)  4 Ca 3.84-4.03, 4 Sr 3.93-4.19, 1 Ba 3.96
Ca (0.7936, 0.4459, 0.5270)  4 Sr 3.83-4.08, 4 Ca 3.84-4.19
Ca (0.8438, 0.9540, 0.6252)  4 Ca 3.84-4.03, 4 Sr 3.93-4.19, 1 Ba 3.96
Ca (0.9540, 0.6252, 0.8438)  4 Ca 3.84-4.03, 4 Sr 3.93-4.19, 1 Ba 3.96

---

Model b:
# BaSr6Ca12

BaSr6Ca12 after structural relaxation (PBE-GGA, the Alexandria database).

Lattice parameters (Å, degrees): 9.9549 9.9549 9.9549 99.94 99.94 99.94
With the nearest neighbours (Å) after each atom.
Positions (direct):
Ba (0.0000, 0.0000, 0.0000)  6 Sr 3.93, 6 Ca 4.22
Sr (0.1066, 0.1066, 0.6651)  3 Sr 3.67-4.05, 2 Ca 3.82, 1 Ba 3.93
Sr (0.1066, 0.6651, 0.1066)  3 Sr 3.67-4.05, 2 Ca 3.82, 1 Ba 3.93
Sr (0.3349, 0.8934, 0.8934)  3 Sr 3.67-4.05, 2 Ca 3.82, 1 Ba 3.93
Sr (0.6651, 0.1066, 0.1066)  3 Sr 3.67-4.05, 2 Ca 3.82, 1 Ba 3.93
Sr (0.8934, 0.3349, 0.8934)  3 Sr 3.67-4.05, 2 Ca 3.82, 1 Ba 3.93